trying to run an .exe file in lua - lua

[Calculated molecules that have nothing to do with the entry]
<<<
Below is the molecule C20H20N2O4S at a distorted geometry, with properties calculated with wB97M-V/def2-TZVPD.

XYZ file:
```
47
Properties=species:S:1:pos:R:3:forces:R:3
C -7.20713 -1.00707 1.18377 0.173 0.165 -0.064
C -6.08430 -0.47740 0.30108 -0.110 -0.283 -0.028
C -5.69144 -1.48884 -0.77412 0.169 0.432 0.023
C -4.59892 -0.95548 -1.70026 -0.395 -0.153 -0.186
N -3.36937 -0.71019 -0.98157 0.095 -0.152 0.090
C -2.83307 0.50524 -0.84498 0.022 -0.408 0.018
O -3.29097 1.52049 -1.35973 -0.005 0.212 0.001
C -1.60363 0.54000 -0.02190 0.935 0.877 0.481
O -1.13977 -0.62688 0.46533 -0.803 0.290 -0.603
N -0.01128 -0.40165 1.17088 0.866 0.136 0.718
C 0.23994 0.88017 1.13879 -0.812 -0.267 -0.366
C 1.44230 1.46269 1.76500 0.731 0.022 -0.245
S 2.74940 1.71386 0.50150 -0.110 0.167 0.202
C 3.64137 0.17836 0.47052 -0.509 0.010 0.252
C 3.13875 -0.98642 0.99132 0.020 0.299 -0.027
C 3.89860 -2.16432 0.95056 0.302 -0.212 -0.063
C 5.14158 -2.17831 0.38622 -0.198 -0.143 0.113
C 5.68151 -1.00216 -0.17524 -0.193 0.250 0.006
C 6.95675 -0.98683 -0.77702 0.156 0.088 -0.093
C 7.46511 0.15956 -1.31996 0.087 -0.267 0.036
C 6.71901 1.34599 -1.28279 -0.222 0.182 0.045
C 5.47956 1.36456 -0.70536 0.128 0.169 -0.119
C 4.92652 0.19993 -0.13856 0.140 -0.300 0.003
C -0.76805 1.56326 0.37774 -0.540 -0.751 -0.202
C -0.83656 3.04704 0.19692 -0.161 -0.223 -0.044
O -0.06990 3.76714 0.78396 0.072 0.012 -0.037
O -1.76822 3.52124 -0.60267 -0.251 0.248 -0.232
H -7.47170 -0.27547 1.94272 -0.090 0.009 0.107
H -6.90229 -1.92433 1.68308 -0.019 -0.106 0.078
H -8.09229 -1.21935 0.58862 -0.129 -0.047 -0.018
H -6.40262 0.45034 -0.17814 0.065 0.073 -0.014
H -5.21572 -0.24652 0.92218 0.020 0.081 -0.028
H -5.34820 -2.41253 -0.30124 -0.047 -0.108 -0.012
H -6.56490 -1.73061 -1.38147 -0.023 -0.095 -0.029
H -4.90279 -0.00395 -2.14144 0.032 -0.157 -0.030
H -4.40184 -1.67450 -2.50167 -0.012 0.138 0.004
H -2.93782 -1.49062 -0.50769 0.078 0.149 -0.004
H 1.83616 0.83301 2.55897 -0.067 0.027 0.059
H 1.22929 2.47085 2.11824 0.020 -0.188 0.049
H 2.15146 -1.02736 1.42260 0.030 0.000 0.001
H 3.47685 -3.06443 1.37303 0.007 -0.101 0.025
H 5.72561 -3.08655 0.35558 0.050 -0.094 -0.001
H 7.52500 -1.90598 -0.80069 0.062 -0.075 -0.009
H 8.44307 0.15985 -1.77880 0.071 -0.033 -0.025
H 7.13032 2.24702 -1.71296 0.003 0.087 -0.025
H 4.90326 2.27760 -0.67627 0.077 0.116 -0.041
H -2.38863 2.83955 -0.98408 0.287 -0.076 0.229
```
Forces are in eV/Å.

Its SMILES is CCCCNC(=O)c1onc(CSc2cccc3ccccc23)c1C(=O)O. The calculation puts the HOMO energy at -0.287 hartree. The max |F| is 1.37 eV/A. For the molar mass, the calculation gives 384.457 g mol⁻¹. The value obtained for the energy above the lowest of the compared OMol25 structures with the same formula, charge and spin is 10.2 kcal per mole. As for the spin multiplicity: 1.

---

Below is a structure of composition C12H15HgN3 at a distorted geometry, with properties calculated with wB97M-V/def2-TZVPD.

XYZ file:
```
31
Properties=species:S:1:pos:R:3:forces:R:3
>>>

recently i have been trying to run a script in lua that through os.execute() will execute a script in C# compiled into an executablethat is in the same directory as my script.
In my first attempt adding the entire directory until the executable worked:
however I need this script to work on other computers, which means I can't add the entirely path to the file.I tried countless methods to execute the .exe file inside the same directory without using the entire path and none of the methods worked
os.execute [[".\testcode.exe"]]
os.execute "testcode.exe"
I even tried to create an environment variable and run the entire directory from it xD
os.execute("set wTest=%cd%")
but nothing worked. I also tried to use io.popen() but didn't get results either (because the executable will close a computer process, it does not give any output :V)
does anyone know how I can do this?????


PyCharm: Unit testing directory setup with remote interpreter

For years I've been running a Docker container on my local machine and using it as a remote Python interpreter via SSH in PyCharm. This works great (though 2022.2.1 brought a lot of new bugs that have been slowly being ironed out) for running my code! I'm now on 2022.2.3.
However, I'm having issues running unit tests. In the past (i.e. before version 2022.2.1), I could simply right click my tests directory (a direct child of my main project directory) and click Run Python tests in test... and it would all work as expected.
Now, though, when I click this, I receive an error message about "No such file or directory."
I've tried everything I can think of- I've setup my path mappings in the Python test run config to exactly match those shown in my Python run config, and have tried every version of directory and subdirectory in the mappings and working directory, but I always receive an error about either having an empty test suite (no tests found), or that the directory "must be in the project."
It seems like no matter what I do, PyCharm is trying to create a temp directory somewhere, or is trying to read from some temp directory that I never specified, because I see errors this like:
AssertionError: /tmp/pycharm_project_405/docker/tests: No such file or directory
Yet I never created, specified, or requested a temp directory of any sort, let alone one named /tmp/pycharm_project_405/; this is a mystery to me.
PyCharm with an SSH interpreter is rapidly becoming unusable for me and my team because we cannot figure out how to set this up. Can anybody please offer some guidance on what we need to do?
Thank you all so very much!
I tried:
Changing run config for Python tests to match the working directory and path mapping of Python run configs (which work)
Directly specifying the path to the tests from the container's perspective
Setting up run config templates
Specifying one directory up/down from the actual tests
Unit tests to be found and run as they were in previous versions of PyCharm
Create a run config for testing
In the testing run config, set Target: to Custom
Set the correct remote interpreter
Set Working directory to the test folder
Set TWO path mappings: 1) Map the code directory (in my case, the parent directory of the tests folder) and 2) Map the test directory itself

Using TDBLoader in JENA

I'm trying to learn how to use TDBLoader using this example I found:
However, when trying to run the init-demo script, I keep running into issues
I'm using cygwin to attempt to run the script, but I keep getting please ensure $Path contains $TDBROOT/bin
I set TDBROOT= C:\Development\apache-jena-2.12.1
And my Path has "%TDBROOT\bin"
I'm really new to using command line and shell scripts, so I'm not at all familiar with how to go about debugging this.
I have my tdbloader in apache-jena-2.12.1\bin , is there a way I can check if this is even working? Or if my path is properly set?
I tried "tdbloader" and "-v tdbloader" in command line and I get "tdbloader" is not recognized...
That's not supposed to happen if my path is set correctly, right?

Notepad++ sets incorrect path when running script

I have a simple script that I want to import into another with require, but when I run it from Notepad++ I get the usual error that require produces.
The funny thing is that it worked an hour ago and I did not restart the computer since then.
The files are in the same directory, so the simple file name (without .lua) worked and should still work. (relative path)
Lua runs the script just fine.
this is what I entered in Notepad:
cmd /k lua "$(FULL_CURRENT_PATH)"
Earlier I also had a problem with Penlight, maybe there is some connection, so here it is:
I tried to require"pl" but it failed to find the module. (ran from SciTE, worked prevously)
I tried it in the Lua command line and it worked like a charm.
Tried again in SciTE and voila it worked again.
I have no idea what causes any of them.
ps.: using the lfs module and os.execute("cd /d ...path...") did not work
Lua is searching for your required module in the folders of LUA_PATH. In the script you run via F5, put this statement:
print('current path is:')
require 'someModuleThatDoesntExist'
After printing the "working" forlder (Program Files/Notepad++), it tries to find the required module and fails. The traceback shows that Lua looks through many different folders, none of them being the one containing FULL_CURRENT_PATH, so it can't find the module.
You have several choices:
put your scripts in one of the listed paths
set LUA_PATH in your environment to contain the folder name where your scripts are located
change package.path from your script so it knows where to look for other modules. You could do this by either:
including an extra parameter to your F5, namely CURRENT_DIRECTORY, and make your script take its first command line param (CURRENT_DIRECTORY) to add it to package.path
parse arg[0] when your script starts, to get the folder containing script, and extend package.path
For example with #3, first option, you would use
in notepad++ and in your Lua module you would use
thisModuleDir = arg[1]
package.path = thisModuleDir .. ";" .. package.path
require 'yourmodule'

ACE TAO cannot get NameService object in debug mode

I'm running a multi-program projects using ACE TAO. I set the Environment Variables and compiled ACE_TAO environment. Then I copied the tao_cosnaming.exe to my project run directory and use a .bat to start the naming service.
The programs run well if I start them directly, but they could not get the "NameService" correctly when I invoke obj = orb->resolve_initial_references("NameService") in debug mode. (I could not run obj->_non_existent(), it throws an error).
It seemed because the Naming Service is implemented as a remote one. When I invoke obj = orb->invoke resolve_initial_references("RootPOA"), things are fine, because RootPOA is local object so obj->_non_existent() return immediately.
The .bat file is like:
tao_cosnaming -ORBEndPoint iiop://%DTAX_NAME_SERVICE_HOST%
The DTAX_RUN_DIR and DTAX_NAME_SERVICE_HOST are Environment Variables. DTAX_RUN_DIR is project run directory and DTAX_NAME_SERVICE_HOST=
Could anybody share some ideas on what is going wrong? Thanks!
It's hard to give a definite solution with just the information you provided, but in my projects I need to pass "-c" (without the quotes) as a command argument so that I can debug it, maybe you need to do the same.
In Visual Studio in the project properties you can find the Command arguments field in Properties/Debugging.

Paths in Lua: Unable to run script in Windows for Lua that requires 'wx'

I am using Lua for Windows.
I am trying a sample script from the wxLua website; however, when I run the script, it fails on the first line, which is require 'wx' with:
lua: cannot open wx: No such file or directory
However, when executing require 'wx' in the REPL/interpreter, it works OK.
I have done another script to output print(package.cpath) and print(package.path), and they seem the same to me as in the REPL.
Why, when running the script, is it not able to find 'wx'?
In this instance, I am running both the script and the shell/REPL from the same folder.
The value of package.cpath (produced by test script and Lua shell):
.\?.dll;.\?51.dll;C:\Program Files (x86)\Lua\5.1\?.dll;C:\Program Files (x86)\Lu a\5.1\?51.dll;C:\Program Files (x86)\Lua\5.1\clibs\?.dll;C:\Program Files (x86)\ Lua\5.1\clibs\?51.dll;C:\Program Files (x86)\Lua\5.1\loadall.dll;C:\Program File s (x86)\Lua\5.1\clibs\loadall.dll
and package.path (again, the same from the script and Lua shell):
;.\?.lua;C:\Program Files (x86)\Lua\5.1\lua\?.lua;C:\Program Files (x86)\Lua\5.1\lua\?\init.lua;C:\Program Files (x86)\Lua\5.1\?.lua;C:\Program Files (x86)\Lua\5.1\?\init.lua;C:\Program Files (x86)\Lua\5.1\lua\?.luac
There is a wx.dll in C:\Program Files (x86)\Lua\5.1\clibs which is referenced by the cpath value above.
OK, this was my own stupidity: I named the file wx.lua, so obviously require was trying to pick up the script itself.
By simply renaming the file, it works fine.
